Your job: echo the lines underneath from the one with "0.5912" to the one with "0.3197" without altering anything.

~~~
# 1
# V2O3F

A relaxed structure of V2O3F (PBE+U, Materials Project).

Results
The total magnetization is 12.000 Bohr magnetons per cell. As for the energy of formation from the pure elements: -2651 meV/atom. For the calculated volume, the calculation gives 66.58 Å³/f.u. As for the total energy after the MP2020 corrections: -8.47 eV per atom.

abc: 4.6894 6.0545 9.8511
angles: 72.35 87.90 89.82
Fractional coordinates of all 24 atoms:
V 0.0000 0.0000 0.0000
V 0.0067 0.5151 0.9932
V 0.4363 0.8996 0.7221
V 0.4884 0.6329 0.2367
V 0.5258 0.1483 0.2476
V 0.5348 0.3663 0.7700
V 0.9322 0.7574 0.4963
V 0.9761 0.2607 0.4887
O 0.1761 0.9527 0.5912
O 0.1899 0.7122 0.0927
O 0.2967 0.0883 0.8392
O 0.3000 0.3185 0.3414
O 0.3044 0.5873 0.8375
O 0.6730 0.1852 0.6458
O 0.6759 0.9495 0.1502
O 0.6844 0.6826 0.6480
O 0.7046 0.4270 0.1420
O 0.7876 0.0505 0.3987
O 0.7934 0.5710 0.3922
O 0.8036 0.3047 0.8951
F 0.1757 0.4691 0.5889
F 0.2056 0.2105 0.0963
F 0.2792 0.8387 0.3489
F 0.7917 0.8110 0.8914


# 2
# V3O4F2

A relaxed structure of V3O4F2 (PBE+U, Materials Project).

Results
The total magnetization is 0.000 Bohr magnetons per cell. As for the energy of formation from the pure elements: -2641 meV/atom. For the calculated volume, the calculation gives 100.00 Å³/f.u. As for the total energy after the MP2020 corrections: -8.29 eV per atom.

abc: 3.0654 10.4664 10.4664
angles: 36.55 90.00 90.00
Fractional coordinates of all 18 atoms:
V 0.0000 0.0000 0.0000
V 0.0000 0.3197 0.3197
V 0.0000 0.6593 0.6593
V 0.5000 0.1604 0.1604
V 0.5000 0.4986 0.4986
V 0.5000 0.8193 0.8193
O 0.0000 0.0203 0.6316
O 0.0000 0.2811 0.7064
O 0.0000 0.6316 0.0203
O 0.0000 0.7064 0.2811
O 0.5000 0.0610 0.0610
O 0.5000 0.2566 0.2566
O 0.5000 0.5965 0.5965
O 0.5000 0.7249 0.7249
F 0.0000 0.3543 0.9644
F 0.0000 0.9644 0.3543
F 0.5000 0.3924 0.3924
F 0.5000 0.9278 0.9278


# 3
# V2O3F

A relaxed structure of V2O3F (PBE+U, Materials Project).

Results
As for the energy of formation from the pure elements: -2662 meV/atom. For the calculated volume, the calculation gives 65.75 Å³/f.u. As for the total energy after the MP2020 corrections: -8.48 eV per atom.

abc: 5.5563 5.5563 8.9642
angles: 92.23 92.23 72.08
Fractional coordinates of all 24 atoms:
V 0.0000 0.0000 0.0000
V 0.1028 0.1028 0.6356
V 0.2585 0.2585 0.2374
V 0.3582 0.3582 0.8540
V 0.5000 0.5000 0.5000
V 0.6418 0.6418 0.1460
V 0.7415 0.7415 0.7626
V 0.8972 0.8972 0.3644
O 0.0289 0.0289 0.2200
O 0.0506 0.4381 0.7412
O 0.1934 0.8066 0.5000
O 0.2278 0.2278 0.0146
O 0.4381 0.0506 0.7412
O 0.4807 0.4807 0.2712
O 0.5193 0.5193 0.7288
O 0.5619 0.9494 0.2588
O 0.7722 0.7722 0.9854
O 0.8066 0.1934 0.5000
O 0.9494 0.5619 0.2588
O 0.9711 0.9711 0.7800
F 0.2707 0.2707 0.4721
F 0.3095 0.6905 0.0000
F 0.6905 0.3095 0.0000
F 0.7293 0.7293 0.5279


# 4
# V3O4F2

A relaxed structure of V3O4F2 (PBE+U, Materials Project).

Results
The total magnetization is 10.000 Bohr magnetons per cell. As for the energy of formation from the pure elements: -2673 meV/atom. For the calculated volume, the calculation gives 100.17 Å³/f.u. As for the total energy after the MP2020 corrections: -8.33 eV per atom.

abc: 5.5789 5.5789 7.4535
angles: 108.97 108.97 70.22
Fractional coordinates of all 18 atoms:
V 0.0000 0.0000 0.0000
V 0.0000 0.0000 0.5000
V 0.3179 0.3179 0.3390
V 0.3326 0.3326 0.8294
V 0.6674 0.6674 0.1706
V 0.6821 0.6821 0.6610
O 0.0287 0.6368 0.3352
O 0.0944 0.0944 0.2951
O 0.2953 0.7047 0.0000
O 0.3632 0.9713 0.6648
O 0.6368 0.0287 0.3352
O 0.7047 0.2953 0.0000
O 0.9056 0.9056 0.7049
O 0.9713 0.3632 0.6648
F 0.2305 0.2305 0.0347
F 0.4414 0.4414 0.6356
F 0.5586 0.5586 0.3644
F 0.7695 0.7695 0.9653


Values of ΔE to the lowest computed polymorph, in order: 19.1, 75.0, 7.7, 43.4, all in meV per atom.

----------

A relaxed structure of MgSi2, computed with PBE-GGA.

abc: 3.6316 5.3324 11.8657
angles: 85.56 90.00 90.00
Element x y z (fractional)
1 Si 0.0000 0.6928 0.1191
2 Si 0.5000 0.4773 0.0421
3 Si 0.5000 0.8678 0.7172
4 Si 0.5000 0.2574 0.3492
~~~

O 0.1761 0.9527 0.5912
O 0.1899 0.7122 0.0927
O 0.2967 0.0883 0.8392
O 0.3000 0.3185 0.3414
O 0.3044 0.5873 0.8375
O 0.6730 0.1852 0.6458
O 0.6759 0.9495 0.1502
O 0.6844 0.6826 0.6480
O 0.7046 0.4270 0.1420
O 0.7876 0.0505 0.3987
O 0.7934 0.5710 0.3922
O 0.8036 0.3047 0.8951
F 0.1757 0.4691 0.5889
F 0.2056 0.2105 0.0963
F 0.2792 0.8387 0.3489
F 0.7917 0.8110 0.8914


# 2
# V3O4F2

A relaxed structure of V3O4F2 (PBE+U, Materials Project).

Results
The total magnetization is 0.000 Bohr magnetons per cell. As for the energy of formation from the pure elements: -2641 meV/atom. For the calculated volume, the calculation gives 100.00 Å³/f.u. As for the total energy after the MP2020 corrections: -8.29 eV per atom.

abc: 3.0654 10.4664 10.4664
angles: 36.55 90.00 90.00
Fractional coordinates of all 18 atoms:
V 0.0000 0.0000 0.0000
V 0.0000 0.3197 0.3197